This project is not affiliated with Impermax, this is not an official release.
This tool allows you to effortlessly compare the best APYs over:
- 250+ unique tokens supply and borrow APYs.
- 125+ pairs and their unique leveraged LP APYs.
- 6 blockchains (ETH, MATIC, ARB, AVAX, MOONRIVER, FTM)
Create a python file with the following code, then run it.
More detailed instructions are provided further down the page.
from src.impermax.impermax_to_csv import main, enable_logging
if __name__ == '__main__':
The console output will look something like this.
You may find examples of .CSV files generated by the script in the ./target/csv directory.
This little code snippet is all you need to generate a chart of the specified stablecoin APRs over time.
It even automatically detects variants such as USDC.e, DAI.e, etc.
Read more below to see the kind of data you can fetch, and plot.
**Someone pasted records of crystals at this point:**
=====
# 1
# PBE SmTaNO, optimized geometry
# E above lowest polymorph, meV/atom: 110
# Energy, eV for the cell shown: -73.4
data_SmTaNO
_chemical_formula_sum 'Sm2 Ta2 N2 O2'
_space_group_name_H-M_alt 'P m c 21'
_space_group_IT_number 26
_cell_length_a 4.0729
_cell_length_b 5.4054
_cell_length_c 5.1840
_cell_angle_alpha 90.00
_cell_angle_beta 90.00
_cell_angle_gamma 90.00
loop_
_space_group_symop_operation_xyz
'x,y,z'
'-x,-y,z+1/2'
'-x,y,z'
'x,-y,z+1/2'
loop_
_atom_site_label
_atom_site_type_symbol
_atom_site_fract_x
_atom_site_fract_y
_atom_site_fract_z
Sm1 Sm 0.0000 0.2316 0.0000
Ta1 Ta 0.5000 0.2965 0.5009
N1 N 0.0000 0.3080 0.5008
O1 O 0.5000 0.0027 0.7547


# 2
# PBE SmTaNO, optimized geometry
# E above lowest polymorph, meV/atom: 159
# Energy, eV for the cell shown: -145.9
data_SmTaNO
_chemical_formula_sum 'Sm4 Ta4 N4 O4'
_space_group_name_H-M_alt 'P b c m'
_space_group_IT_number 57
_cell_length_a 7.7307
_cell_length_b 6.5838
_cell_length_c 4.6323
_cell_angle_alpha 90.00
_cell_angle_beta 90.00
_cell_angle_gamma 90.00
loop_
_space_group_symop_operation_xyz
'x,y,z'
'-x,-y,-z'
'-x,-y,z+1/2'
'x,y,-z+1/2'
'x,-y+1/2,-z'
'-x,y+1/2,z'
'-x,y+1/2,-z+1/2'
'x,-y+1/2,z+1/2'
loop_
_atom_site_label
_atom_site_type_symbol
_atom_site_fract_x
_atom_site_fract_y
_atom_site_fract_z
Sm1 Sm 0.1301 0.0441 0.2500
Ta1 Ta 0.3706 0.6079 0.2500
N1 N 0.4192 0.5842 0.7500
O1 O 0.1628 0.0971 0.7500


# 3
# PBE SmTaNO, optimized geometry
# E above lowest polymorph, meV/atom: 312
# Energy, eV for the cell shown: -143.5
data_SmTaNO
_chemical_formula_sum 'Sm4 Ta4 N4 O4'
_space_group_name_H-M_alt 'P c a 21'
_space_group_IT_number 29
_cell_length_a 6.3238
_cell_length_b 7.6482
_cell_length_c 5.1796
_cell_angle_alpha 90.00
_cell_angle_beta 90.00
_cell_angle_gamma 90.00
loop_
_space_group_symop_operation_xyz
'x,y,z'
'-x,-y,z+1/2'
'-x+1/2,y,z+1/2'
'x+1/2,-y,z'
loop_
_atom_site_label
_atom_site_type_symbol
_atom_site_fract_x
_atom_site_fract_y
_atom_site_fract_z
Sm1 Sm 0.0600 0.1416 0.0000
Ta1 Ta 0.1258 0.6560 0.0026
N1 N 0.0673 0.1501 0.5021
O1 O 0.0734 0.5457 0.6301


# 4
# PBE SmTaNO, optimized geometry
# E above lowest polymorph, meV/atom: 303
# Energy, eV for the cell shown: -71.8
data_SmTaNO
_chemical_formula_sum 'Sm2 Ta2 N2 O2'
_space_group_name_H-M_alt 'P m c 21'
_space_group_IT_number 26
_cell_length_a 3.8941
_cell_length_b 6.1074
_cell_length_c 5.2988
_cell_angle_alpha 90.00
_cell_angle_beta 90.00
_cell_angle_gamma 90.00
loop_
_space_group_symop_operation_xyz
'x,y,z'
'-x,-y,z+1/2'
'-x,y,z'
'x,-y,z+1/2'
loop_
_atom_site_label
_atom_site_type_symbol
_atom_site_fract_x
_atom_site_fract_y
_atom_site_fract_z
Sm1 Sm 0.0000 0.1832 0.0000
Ta1 Ta 0.5000 0.3044 0.5095
N1 N 0.5000 0.3988 0.8743
O1 O 0.0000 0.2181 0.4956


# 5
# PBE SmTmNO, optimized geometry
# E above lowest polymorph, meV/atom: 90
# Energy, eV for the cell shown: -124.0
data_SmTmNO
_chemical_formula_sum 'Sm4 Tm4 N4 O4'
_space_group_name_H-M_alt 'P c a 21'
_space_group_IT_number 29
_cell_length_a 6.6055
=====
**End of the records of crystals:**
from src.impermax.repositories.csv.csv_repository import CsvRepository
from src.impermax.plot_aprs import plot
repo = CsvRepository()
r = repo.find_by_tickers('USDC', 'DAI', 'USDT', 'MAI', 'MIM', ...)
This is from our dedicated Google Sheets template (linked below).
You can directly paste the data there!
Make a copy :
Filter used: Only stablecoins with a supply greater than $100k USD over all available blockchains in descending order.**
Comment: DAI from the USDC/DAI pair on SushiSwap on the MATIC chain has the best supply APR, followed by USDC.e from the USDC.e/USDT.e pair on TraderJoe (Avalanche chain).
- Python 3.9+ must be installed:
- Git should be installed:
Create a new folder, then cd into it with the terminal.
Then copy-paste these commands.
(Note for devs: of course, run this in a venv instead.)
git clone
cd impermax_to_csv
python install
Create a new python file with the following contents, this could be on your desktop:
from src.impermax.impermax_to_csv import main, enable_logging
if __name__ == '__main__':
Finally, run the python script:
from src.impermax.repositories.csv.csv_repository import CsvRepository
from src.impermax.plot_aprs import plot
from src.impermax.common.enums.data_columns_enum import PlottableColumns
# Step 1: specify the data you want.
# This fetches the data from the CSV files created in ./target/*.csv
# You have many ways to retrieve a specific subset of data.
# See all the different methods below.
repo = CsvRepository()
# returns all data
## Unrelated to this page: materials data
<<<
Here is a geometry-optimized Sr2GdMg structure from the Alexandria database. Energies are from PBE.

Computed properties:
As for the formation energy from the elements: 0.301 eV per atom.

a = 3.7778 Å, b = 3.7778 Å, c = 13.1800 Å
α = 81.76°, β = 81.76°, γ = 60.00°
Closest atoms and distances in Å follow each position.
Positions (direct):
1 Mg 0.5000 0.5000 0.5000  6 Sr 3.64, 6 Mg 3.78
2 Sr 0.0920 0.0920 0.7241  1 Gd 3.59, 3 Mg 3.64, 6 Sr 3.78
3 Sr 0.9080 0.9080 0.2759  1 Gd 3.59, 3 Mg 3.64, 6 Sr 3.78
4 Gd 0.0000 0.0000 0.0000  2 Sr 3.59, 6 Gd 3.78

* * * * *

Entry 1:
A plane-wave DFT calculation with PBE was carried out for crystalline Ag2HBr at its relaxed geometry.

```
Ag2HBr
1.0
5.555 0.000 0.000
0.000 5.555 0.000
0.000 0.000 9.644
Ag H Br
8 4 4
direct
0.115 0.250 0.125
0.250 0.615 0.375
0.250 0.885 0.875
0.385 0.250 0.625
0.615 0.750 0.625
0.750 0.115 0.875
0.750 0.385 0.375
0.885 0.750 0.125
0.000 0.000 0.000
0.000 0.500 0.250
0.500 0.000 0.750
0.500 0.500 0.500
0.000 0.000 0.500
0.000 0.500 0.750
0.500 0.000 0.250
0.500 0.500 0.000
```

Computed properties:
The value obtained for the energy above the most stable polymorph in this dataset is 0.000 eV per formula unit. As for the total magnetization: 0.000 μB per atom. The space-group type is I-42d (122). As for the density of states at the Fermi level: 0.0 states/eV/cell.

Entry 2:
A plane-wave DFT calculation with PBE was carried out for crystalline Hf2CoGe at its relaxed geometry.

```
Hf2CoGe
1.0
3.358 0.000 0.000
-1.679 2.908 0.000
0.000 0.000 22.781
Hf Co Ge
6 3 3
direct
0.000 0.000 0.238
0.000 0.000 0.762
0.333 0.667 0.428
0.333 0.667 0.905
0.667 0.333 0.095
0.667 0.333 0.572
0.000 0.000 0.500
0.333 0.667 0.167
0.667 0.333 0.833
0.000 0.000 0.000
0.333 0.667 0.667
0.667 0.333 0.333
```

Computed properties:
As for the total magnetization: 0.000 μB per atom. The space-group type is R-3m (166). As for the density of states at the Fermi level: 9.8 states/eV/cell. As for the total DFT energy (no corrections): -97.19 eV per cell.

Entry 3:
A plane-wave DFT calculation with PBE was carried out for crystalline Nd9Tm2Th at its relaxed geometry.

```
Nd9Tm2Th
1.0
5.149 0.000 0.000
0.000 5.149 0.000
0.000 0.000 15.443
Nd Tm Th
9 2 1
direct
>>>
r = repo.find_all()
# returns data for similar tickers, in this case would return data for : IMX, IMX.e, IMX.a, etc.
r = repo.find_by_ticker("IMX")
# returns data for multiple similar tickers.
r = repo.find_by_tickers("IMX", "USDC", ...)
# returns data for IMX pairs only.
r = repo.find_by_ticker_strict("IMX")
# returns data for the IMX and USDC pairs only.
r = repo.find_by_tickers_strict("IMX", "USDC", ...)
# this example returns data for ETHEREUM_IMX_ETH_UNISWAP contract only.
r = repo.find_by_contract("0xa00d47b4b304792eb07b09233467b690db847c91")
# returns data for multiple contract addresses
r = repo.find_by_contracts(
"0xa00d47b4b304792eb07b09233467b690db847c91", # ETHEREUM_IMX_ETH_UNISWAP
"0x8ce3bf56767dd87e87487f3fae63e557b821ea32", # POLYGON_IMX_WETH_QUICKSWAP
# Step 2: chose what to plot.
# Select from the available options from this enum.
to_plot = PlottableColumns.SUPPLY_APR
to_plot = PlottableColumns.BORROWED_APR
to_plot = PlottableColumns.BORROWED
to_plot = PlottableColumns.SUPPLY
# Step 3: nothing more to do!
plot(repository_data=r, data_to_plot=to_plot)
Getting the webscraper running in a couple clicks/commands with docker regardless of the operating system.
# first cd into the root of this repository on your local machine, then
# Runs the webscraper
docker compose up
# Copies the generated .csv data file from the container to local host.
docker compose cp impermax-webscraper:/usr/src/app/target/csv ./target
This tool should save you tons of time and hopefully even more money.
Tips are appreciated :)
(ETH Mainnet, Avalanche, and Polygon are my preferred chains ♥)
Let me know your feedback via on Discord (DehiDehi#8605) or Twitter (@dehikupo)!
Any fork or improvement on this app must be open source as well (GPL-3.0 License).